-- Wanted --
Your job: give back everything below unchanged.

-- Contents --
<<<
No. 1
A relaxed structure of La4NbCo3O12, computed with PBE with a Hubbard U.

Lattice parameters (Å, degrees): 5.6292 5.7379 8.0315 89.95 89.93 89.51
With the nearest neighbours (Å) after each atom.
Fractional positions:
1 O 0.3057 0.7185 0.4532  2 Co 1.99-2.17
2 O 0.7954 0.7925 0.5467  2 Co 2.06-2.07
3 O 0.0938 0.4737 0.7571  1 Nb 2.03, 1 Co 2.14
4 O 0.2845 0.6966 0.0512  1 Nb 2.01, 1 Co 2.17
5 O 0.8024 0.7867 0.9462  1 Nb 2.02, 1 Co 2.13
6 O 0.9062 0.5263 0.2429  1 Nb 2.03, 1 Co 2.14
7 O 0.2046 0.2075 0.4533  2 Co 2.06-2.07
8 O 0.5946 0.0321 0.2497  2 Co 2.08-2.09
9 O 0.4054 0.9679 0.7503  2 Co 2.08-2.09
10 O 0.6943 0.2815 0.5468  2 Co 1.99-2.17
11 O 0.1976 0.2133 0.0538  1 Nb 2.02, 1 Co 2.13
12 O 0.7155 0.3034 0.9488  1 Nb 2.01, 1 Co 2.17
13 Co 0.0000 0.5000 0.5000  6 O 2.06-2.17
14 Co 0.5000 0.0000 0.5000  6 O 1.99-2.09
15 Co 0.5000 0.0000 0.0000  6 O 2.08-2.17
16 La 0.5121 0.5568 0.7394  6 O 2.41-2.69
17 La 0.0085 0.9588 0.2639  5 O 2.37-2.64
18 La 0.9915 0.0412 0.7361  5 O 2.37-2.64
19 La 0.4879 0.4432 0.2606  6 O 2.41-2.69
20 Nb 0.0000 0.5000 0.0000  6 O 2.01-2.03

Values from the calculation:
Total magnetization   0.035 μB per cell
VASP energy   -7.62 eV/atom
Theoretical density   6.5 g/cm3
SG   P-1, No. 2
Crystal system   triclinic
Formation enthalpy at 0 K   -2750 meV per atom

No. 2
A relaxed structure of MgWOF4, computed with PBE with a Hubbard U.

Lattice parameters (Å, degrees): 3.8980 5.5596 5.5568 96.91 110.53 69.48
With the nearest neighbours (Å) after each atom.
Fractional positions:
1 F 0.7753 0.2486 0.6826  1 Mg 1.90, 1 W 2.10
2 F 0.3413 0.7514 0.3174  1 Mg 1.90, 1 W 2.10
3 F 0.0295 0.3166 0.2477  1 Mg 1.90, 1 W 2.10
4 F 0.0984 0.6834 0.7523  1 Mg 1.90, 1 W 2.10
5 W 0.0602 0.0000 0.0000  2 O 1.95, 4 F 2.10
6 Mg 0.8130 0.5000 0.5000  4 F 1.90
7 O 0.5599 0.0000 0.0000  2 W 1.95

Values from the calculation:
Total magnetization   1.999 μB per cell
VASP energy   -5.83 eV/atom
Theoretical density   4.7 g/cm3
SG   C2, No. 5
Crystal system   monoclinic
Formation enthalpy at 0 K   -2946 meV per atom

No. 3
A relaxed structure of FeOF, computed with PBE with a Hubbard U.

Lattice parameters (Å, degrees): 3.0953 9.4941 14.2942 89.59 90.00 90.00
With the nearest neighbours (Å) after each atom.
Fractional positions:
1 O 0.5000 0.5921 0.0655  3 Fe 1.87-2.02
2 O 0.0000 0.6477 0.8966  3 Fe 1.90-2.05
3 O 0.5000 0.4010 0.9388  3 Fe 1.87-2.01
4 O 0.0000 0.3486 0.4346  3 Fe 1.92-1.97
5 O 0.5000 0.9065 0.9336  3 Fe 1.94-1.95
6 O 0.0000 0.3458 0.7691  3 Fe 1.92-1.95
7 O 0.5000 0.4068 0.6032  3 Fe 1.91-1.95
8 O 0.0000 0.8509 0.1055  3 Fe 1.94-1.95
9 O 0.0000 0.3421 0.1011  3 Fe 1.89-2.05
10 O 0.5000 0.4022 0.2684  3 Fe 1.93-1.98
11 O 0.0000 0.8503 0.4323  3 Fe 1.93-1.96
12 O 0.5000 0.9016 0.6019  3 Fe 1.94-1.97
13 F 0.5000 0.9030 0.2687  2 Fe 2.02
14 F 0.5000 0.0962 0.0667  3 Fe 2.14-2.15
15 F 0.0000 0.1523 0.5652  3 Fe 2.08-2.17
16 F 0.0000 0.6568 0.2374  3 Fe 2.10-2.17
17 F 0.0000 0.1435 0.2359  3 Fe 2.01-2.24
18 F 0.0000 0.6556 0.5631  3 Fe 2.10-2.23
19 F 0.5000 0.0913 0.7301  2 Fe 2.09
20 F 0.5000 0.6047 0.7276  3 Fe 2.11-2.21
21 F 0.0000 0.8480 0.7677  3 Fe 2.01-2.20
22 F 0.5000 0.0995 0.3992  3 Fe 2.06-2.25
23 F 0.0000 0.1507 0.8988  3 Fe 2.13-2.15
24 F 0.5000 0.5998 0.3999  3 Fe 2.12-2.17
25 Fe 0.5000 0.2721 0.1607  3 O 1.89-1.98
26 Fe 0.5000 0.7444 0.1473  3 O 1.87-1.94
27 Fe 0.0000 0.9803 0.9988  3 O 1.94-1.95, 3 F 2.14-2.15
28 Fe 0.5000 0.7681 0.4966  3 O 1.96-1.97, 3 F 2.10-2.12
29 Fe 0.0000 0.4820 0.3281  3 O 1.93-1.97, 1 F 2.10
30 Fe 0.0000 0.9937 0.3364  1 O 1.93, 5 F 2.01-2.06
31 Fe 0.0000 0.4974 0.0005  6 O 2.01-2.05
32 Fe 0.5000 0.7421 0.8520  3 O 1.90-1.95
33 Fe 0.5000 0.2752 0.8385  3 O 1.87-1.95
34 Fe 0.5000 0.2797 0.5001  3 O 1.91-1.92
35 Fe 0.0000 0.4818 0.6693  3 O 1.92-1.95, 2 F 2.11
36 Fe 0.0000 0.9866 0.6611  2 O 1.94, 4 F 2.01-2.09

Values from the calculation:
Total magnetization   59.536 μB per cell
VASP energy   -6.00 eV/atom
Theoretical density   4.3 g/cm3
SG   Pm, No. 6
>>>

-- Worked solution --
No. 1
A relaxed structure of La4NbCo3O12, computed with PBE with a Hubbard U.

Lattice parameters (Å, degrees): 5.6292 5.7379 8.0315 89.95 89.93 89.51
With the nearest neighbours (Å) after each atom.
Fractional positions:
1 O 0.3057 0.7185 0.4532  2 Co 1.99-2.17
2 O 0.7954 0.7925 0.5467  2 Co 2.06-2.07
3 O 0.0938 0.4737 0.7571  1 Nb 2.03, 1 Co 2.14
4 O 0.2845 0.6966 0.0512  1 Nb 2.01, 1 Co 2.17
5 O 0.8024 0.7867 0.9462  1 Nb 2.02, 1 Co 2.13
6 O 0.9062 0.5263 0.2429  1 Nb 2.03, 1 Co 2.14
7 O 0.2046 0.2075 0.4533  2 Co 2.06-2.07
8 O 0.5946 0.0321 0.2497  2 Co 2.08-2.09
9 O 0.4054 0.9679 0.7503  2 Co 2.08-2.09
10 O 0.6943 0.2815 0.5468  2 Co 1.99-2.17
11 O 0.1976 0.2133 0.0538  1 Nb 2.02, 1 Co 2.13
12 O 0.7155 0.3034 0.9488  1 Nb 2.01, 1 Co 2.17
13 Co 0.0000 0.5000 0.5000  6 O 2.06-2.17
14 Co 0.5000 0.0000 0.5000  6 O 1.99-2.09
15 Co 0.5000 0.0000 0.0000  6 O 2.08-2.17
16 La 0.5121 0.5568 0.7394  6 O 2.41-2.69
17 La 0.0085 0.9588 0.2639  5 O 2.37-2.64
18 La 0.9915 0.0412 0.7361  5 O 2.37-2.64
19 La 0.4879 0.4432 0.2606  6 O 2.41-2.69
20 Nb 0.0000 0.5000 0.0000  6 O 2.01-2.03

Values from the calculation:
Total magnetization   0.035 μB per cell
VASP energy   -7.62 eV/atom
Theoretical density   6.5 g/cm3
SG   P-1, No. 2
Crystal system   triclinic
Formation enthalpy at 0 K   -2750 meV per atom

No. 2
A relaxed structure of MgWOF4, computed with PBE with a Hubbard U.

Lattice parameters (Å, degrees): 3.8980 5.5596 5.5568 96.91 110.53 69.48
With the nearest neighbours (Å) after each atom.
Fractional positions:
1 F 0.7753 0.2486 0.6826  1 Mg 1.90, 1 W 2.10
2 F 0.3413 0.7514 0.3174  1 Mg 1.90, 1 W 2.10
3 F 0.0295 0.3166 0.2477  1 Mg 1.90, 1 W 2.10
4 F 0.0984 0.6834 0.7523  1 Mg 1.90, 1 W 2.10
5 W 0.0602 0.0000 0.0000  2 O 1.95, 4 F 2.10
6 Mg 0.8130 0.5000 0.5000  4 F 1.90
7 O 0.5599 0.0000 0.0000  2 W 1.95

Values from the calculation:
Total magnetization   1.999 μB per cell
VASP energy   -5.83 eV/atom
Theoretical density   4.7 g/cm3
SG   C2, No. 5
Crystal system   monoclinic
Formation enthalpy at 0 K   -2946 meV per atom

No. 3
A relaxed structure of FeOF, computed with PBE with a Hubbard U.

Lattice parameters (Å, degrees): 3.0953 9.4941 14.2942 89.59 90.00 90.00
With the nearest neighbours (Å) after each atom.
Fractional positions:
1 O 0.5000 0.5921 0.0655  3 Fe 1.87-2.02
2 O 0.0000 0.6477 0.8966  3 Fe 1.90-2.05
3 O 0.5000 0.4010 0.9388  3 Fe 1.87-2.01
4 O 0.0000 0.3486 0.4346  3 Fe 1.92-1.97
5 O 0.5000 0.9065 0.9336  3 Fe 1.94-1.95
6 O 0.0000 0.3458 0.7691  3 Fe 1.92-1.95
7 O 0.5000 0.4068 0.6032  3 Fe 1.91-1.95
8 O 0.0000 0.8509 0.1055  3 Fe 1.94-1.95
9 O 0.0000 0.3421 0.1011  3 Fe 1.89-2.05
10 O 0.5000 0.4022 0.2684  3 Fe 1.93-1.98
11 O 0.0000 0.8503 0.4323  3 Fe 1.93-1.96
12 O 0.5000 0.9016 0.6019  3 Fe 1.94-1.97
13 F 0.5000 0.9030 0.2687  2 Fe 2.02
14 F 0.5000 0.0962 0.0667  3 Fe 2.14-2.15
15 F 0.0000 0.1523 0.5652  3 Fe 2.08-2.17
16 F 0.0000 0.6568 0.2374  3 Fe 2.10-2.17
17 F 0.0000 0.1435 0.2359  3 Fe 2.01-2.24
18 F 0.0000 0.6556 0.5631  3 Fe 2.10-2.23
19 F 0.5000 0.0913 0.7301  2 Fe 2.09
20 F 0.5000 0.6047 0.7276  3 Fe 2.11-2.21
21 F 0.0000 0.8480 0.7677  3 Fe 2.01-2.20
22 F 0.5000 0.0995 0.3992  3 Fe 2.06-2.25
23 F 0.0000 0.1507 0.8988  3 Fe 2.13-2.15
24 F 0.5000 0.5998 0.3999  3 Fe 2.12-2.17
25 Fe 0.5000 0.2721 0.1607  3 O 1.89-1.98
26 Fe 0.5000 0.7444 0.1473  3 O 1.87-1.94
27 Fe 0.0000 0.9803 0.9988  3 O 1.94-1.95, 3 F 2.14-2.15
28 Fe 0.5000 0.7681 0.4966  3 O 1.96-1.97, 3 F 2.10-2.12
29 Fe 0.0000 0.4820 0.3281  3 O 1.93-1.97, 1 F 2.10
30 Fe 0.0000 0.9937 0.3364  1 O 1.93, 5 F 2.01-2.06
31 Fe 0.0000 0.4974 0.0005  6 O 2.01-2.05
32 Fe 0.5000 0.7421 0.8520  3 O 1.90-1.95
33 Fe 0.5000 0.2752 0.8385  3 O 1.87-1.95
34 Fe 0.5000 0.2797 0.5001  3 O 1.91-1.92
35 Fe 0.0000 0.4818 0.6693  3 O 1.92-1.95, 2 F 2.11
36 Fe 0.0000 0.9866 0.6611  2 O 1.94, 4 F 2.01-2.09

Values from the calculation:
Total magnetization   59.536 μB per cell
VASP energy   -6.00 eV/atom
Theoretical density   4.3 g/cm3
SG   Pm, No. 6